The growing question around for-profit schools’ shameless profiteering may soon be: who aren’t they willing to exploit? Poor, underserved populations, check. Which end up being disproportionately made up of people of color, check. The homeless and unemployed, check. The military? Got them too. A new report released today by Sen. Tom Harkin’s Senate Health, Education, Labor and Pensions Committee details exactly how for-profit schools have taken advantage of veterans’ benefits and loopholes in their federal regulations to scoop up the many vets coming home from wars abroad to boost enrollment.
Veterans have been a boon to for-profit schools—their increased military benefits have made service members especially attractive prospective clients. “Between 2009 and 2010 alone, revenue from military educational benefits at 20 for-profit education companies increased 211 percent,” said the report. In the last four years, 20 for-profit schools saw their income from VA and Department of Defense benefits skyrocket—from $66.6 million in 2006 to $521.2 million in 2010, a 683 percent inrease.
“Congress may have unintentionally subjected this new generation of veterans to the worst excesses of the for-profit industry: manipulative and misleading marketing campaigns, educational programs far more expensive than comparable public or nonprofit programs, and a lack of needed services.”
-- Unrelated to this page: quantum chemistry results --
____________
No. 1
C3H7NO2 | the ωB97M-V functional and the def2-TZVPD basis

Structure (XYZ):
```
13
C3H7NO2 (the ωB97M-V functional and the def2-TZVPD basis)
C -0.79377 -0.92745 -0.31263
O -1.38991 1.10030 0.55408
O -2.32725 2.15430 0.47426
H -2.02800 2.57326 -0.35009
H -0.43988 -1.21881 -1.29860
H -0.57960 -1.67642 0.44599
H -1.85903 -0.75116 -0.40699
C 1.88510 -0.55297 0.07925
C 0.60064 0.19939 0.12847
N 0.32283 1.34599 0.47088
H 1.92123 -1.17677 -0.81597
H 1.95900 -1.20811 0.95015
H 2.72865 0.13844 0.08120
```

frontier orbital gap (alpha / beta)	0.365 / 0.365	hartree
energy	-8802.7742	eV
energy relative to the best compared isomer or geometry (same formula, charge and spin)	178.8	kcal per mole
HOMO energy (alpha / beta)	-9.5 / -9.5	eV
total charge	0


No. 2
C42H44CoN4O3S3 | the ωB97M-V functional and the def2-TZVPD basis

Structure (XYZ):
```
97
C42H44CoN4O3S3 (the ωB97M-V functional and the def2-TZVPD basis)
Co 0.47631 -0.34410 -0.08357
S -0.34075 -5.87603 -1.86794
C -0.99202 -7.43528 -2.10205
C -2.35001 -7.42831 -2.03190
C -2.87281 -6.13398 -1.78211
C -1.90392 -5.17653 -1.66564
C -2.08127 -3.74308 -1.41371
C -0.97408 -2.92983 -1.10833
N -1.04541 -1.63643 -0.88101
C -2.26362 -1.06035 -0.90359
C -3.43114 -1.75917 -1.21503
C -4.67175 -1.03501 -1.27073
C -4.71083 0.29330 -1.03787
C -3.51860 1.02254 -0.70125
C -3.49014 2.40461 -0.47160
C -2.29839 3.02457 -0.16564
C -1.15281 2.21304 -0.04624
N -1.15240 0.91409 -0.25194
C -2.31575 0.32608 -0.60701
C -2.17289 4.46482 0.06940
C -1.02591 5.21034 0.12563
C -1.27151 6.58584 0.36317
C -2.59853 6.86091 0.48348
S -3.55585 5.46061 0.31049
C -3.31539 -3.12927 -1.47626
H -0.33723 -8.27341 -2.28121
H -2.95732 -8.31353 -2.15099
H -3.93050 -5.93335 -1.68094
H 0.00943 -3.36695 -1.06232
H -5.57584 -1.57777 -1.51750
H -5.64592 0.83617 -1.09771
H -4.40835 2.97471 -0.55356
H -0.21943 2.66161 0.24560
H -0.03416 4.80489 -0.02600
H -0.49780 7.33601 0.43649
H -3.06652 7.81505 0.66703
H -4.20121 -3.69485 -1.73627
C 4.44104 2.69094 2.91926
C 4.08865 1.20538 2.73146
C 4.58152 0.68016 1.38346
C 2.66481 0.91944 3.25436
C 2.63759 0.86130 4.65020
C 1.48275 0.64934 5.37305
C 0.29318 0.46788 4.69628
C 0.24701 0.50241 3.31156
C -1.10757 0.33405 2.64377
C -1.87789 -0.89039 3.14025
C -1.94347 1.60778 2.79800
C 1.42624 0.75139 2.59156
N 1.29929 0.87588 1.16378
C 1.91689 1.83144 0.53800
C 1.89350 1.82188 -0.85574
C 2.46510 2.61243 -1.84848
C 2.16991 1.98287 -3.04790
C 1.41804 0.82525 -2.76703
N 1.24227 0.74645 -1.43245
C 0.90792 -0.16987 -3.78477
C 1.52010 0.12806 -5.15615
C 1.32178 -1.58996 -3.37903
C -0.61587 -0.05588 -3.91201
H 5.43168 2.89789 2.51031
H 4.44739 2.95991 3.97609
H 3.73437 3.36670 2.43254
H 4.70506 0.66908 3.45473
H 4.24024 1.23790 0.51350
H 4.32440 -0.36217 1.24288
H 5.67061 0.75757 1.38641
H 3.57418 0.97940 5.18242
H 1.51299 0.61612 6.45454
H -0.61993 0.29900 5.25186
H -0.94006 0.18593 1.57891
H -2.15146 -0.79663 4.19182
H -1.29119 -1.79861 3.01661
H -2.80780 -0.99429 2.57484
H -2.13902 1.81707 3.85159
____________
Federal regulations bar for-profit schools from receiving more than 90 percent of their revenue from federal student loans and grants. Many schools are already perilously close to maxing out there. But money from the G.I. Bill and other VA benefits aren’t considered federal student aid, which has allowed them to fully exploit the newly expanded benefits.
The Huffington Post’s Chris Kirkham tells the story of one vet:
'''
C2H5N3S2 in the gas phase, computed with the ωB97M-V functional and the def2-TZVPD basis.

Results
Gap between HOMO and LUMO: 9.19 eV
SMILES: [H]/N=C(\N)S/C=N\S
E_HOMO: -8.6 eV
Energy relative to the best compared isomer or geometry (same formula, charge and spin): 167.75 kJ/mol

Cartesian coordinates (Å):
H -2.549 1.351 -0.113
N -1.544 1.131 -0.175
C -1.354 -0.128 -0.093
N -2.280 -1.134 -0.033
S 0.312 -0.789 -0.197
C 1.248 0.694 -0.031
N 2.532 0.777 0.013
S 3.439 -0.654 -0.095
H -1.958 -2.027 0.417
H -3.201 -0.860 0.238
H 0.689 1.652 0.053
H 4.665 -0.012 0.015

A molecular structure, C33H36AsF5MoN6O2Se, computed with the ωB97M-V functional and the def2-TZVPD basis.

Results
Gap between HOMO and LUMO: 6.20 eV
E_HOMO: -13.6 eV
Energy relative to the best compared isomer or geometry (same formula, charge and spin): 0.00 kJ/mol
Net charge: +2

Cartesian coordinates (Å):
Mo 1.329 -0.119 1.215
C -2.286 -5.947 -1.956
C -1.731 -4.567 -1.766
C -0.361 -4.336 -1.810
C 0.178 -3.066 -1.652
C 1.659 -2.900 -1.883
C -0.707 -2.009 -1.398
As -0.001 -0.279 -0.943
N -0.532 0.164 0.707
C -1.796 0.155 1.351
C -2.138 -0.876 2.216
C -3.391 -0.878 2.815
C -4.294 0.144 2.551
C -3.946 1.171 1.680
C -2.700 1.177 1.076
C -0.145 1.183 -2.188
C -0.406 0.885 -3.535
C -0.486 -0.510 -4.104
C -0.588 1.949 -4.410
C -0.503 3.272 -4.002
C -0.722 4.403 -4.961
C -0.184 3.526 -2.670
C 0.012 2.513 -1.746
C 0.399 2.919 -0.346
C -2.100 -2.188 -1.428
C -3.091 -1.058 -1.333
C -2.579 -3.477 -1.600
H -1.562 -6.710 -1.677
H -2.548 -6.106 -3.004
H -3.191 -6.092 -1.367
H 0.311 -5.166 -1.996
H 2.226 -3.690 -1.389
H 2.053 -1.947 -1.529
H 1.874 -2.973 -2.952
H -1.427 -1.667 2.424
H -3.660 -1.679 3.490
H -5.268 0.141 3.021
H -4.648 1.967 1.470
H -2.432 1.964 0.383
H 0.349 -1.138 -3.789
H -0.462 -0.459 -5.190
H -1.408 -1.017 -3.819
H -0.796 1.728 -5.450
H -0.900 4.042 -5.971
H 0.143 5.067 -4.979
H -1.582 5.000 -4.654
H -0.073 4.554 -2.343
H 0.644 3.979 -0.327
H 1.289 2.393 0.015
H -0.394 2.750 0.377
H -2.643 -0.087 -1.554
H -3.541 -1.007 -0.342
H -3.899 -1.213 -2.048
H -3.652 -3.634 -1.612
C 4.633 0.693 -1.783
C 3.168 0.852 -1.473
O 2.925 0.486 -0.063
H 4.808 0.979 -2.819
H 4.950 -0.342 -1.656
H 5.248 1.338 -1.154
H 2.553 0.185 -2.071
H 2.813 1.872 -1.599
H 3.780 0.504 0.420
N 6.655 0.475 2.894
N 5.297 0.302 3.062
N 4.698 0.068 4.215
C 3.434 -0.043 3.865
N 3.300 0.122 2.533
N 4.490 0.324 2.044
H 7.127 -0.140 3.549
H 6.894 1.440 3.101
H 2.624 -0.247 4.542
F -3.226 1.445 6.440
C -2.234 1.282 5.583
C -1.413 0.169 5.672
F -1.621 -0.742 6.611
C -0.396 0.003 4.754
F 0.385 -1.087 4.797
C -0.181 0.923 3.736
O 0.809 0.702 2.843
C -0.995 2.045 3.678
F -0.803 2.939 2.706
C -2.023 2.222 4.585
F -2.818 3.276 4.488
Se 1.425 -2.295 1.437

A molecular structure, C19H16F3FeNO4S, computed with the ωB97M-V functional and the def2-TZVPD basis.

Results
Gap between HOMO and LUMO (alpha / beta): 6.74 / 5.59 eV
2S+1: 5
E_HOMO (alpha / beta): -6.6 / -7.9 eV

Cartesian coordinates (Å):
C -0.476 -1.651 -1.345
'''
In July 2009, [Roger Betancourt] enrolled at Kaplan University online, after being recruited heavily by an academic advisor specializing in military recruitment. Betancourt said he was skeptical at first, especially because he hadn’t been able to discuss the funding with the Department of Veterans Affairs. “It was a very aggressive process,” said Betancourt, now 28. “I felt a lot of pressure, to the point where I felt like I was buying a car. Like they were trying to sell me a Mustang and I just wanted to buy a truck.” After the recruiter called his wife, Betancourt said he eventually decided to enroll, trusting the recruiter’s word that all VA issues had been resolved. Less than two months later, he heard from the VA that his paperwork was not in order. He was not yet eligible for the benefits, and he had $2,300 in outstanding charges from Kaplan. Unable to pay off the bill, he was locked out of classes and is now working two jobs to get the charges off his credit report.
**Misplaced data records**
{
  "formula": "C9H14O",
  "method": "ωB97M-V/def2-TZVPD",
  "lumo_energy_ev": 0.83,
  "fmax_ev_per_a": 1.911,
  "spin_multiplicity": 1,
  "smiles": "Cc1ccc(O)cc1.CC",
  "de_lowest_kj_mol": 36.8,
  "total_energy_ev": -11607.25483,
  "molar_mass_g_mol": 138.210,
  "elements": ["C", "C", "H", "H", "H", "H", "H", "H", "C", "C", "C", "C", "C", "C", "C", "O", "H", "H", "H", "H", "H", "H", "H", "H"],
  "xyz": [[-1.059, -2.136, -2.676], [0.237, -2.946, -2.587], [-0.846, -1.076, -2.764], [-1.678, -2.440, -3.529], [-1.691, -2.306, -1.804], [0.734, -2.712, -1.647], [0.030, -4.017, -2.632], [0.949, -2.633, -3.354], [1.980, 0.596, 2.918], [0.307, 1.720, -0.315], [-1.040, 1.745, 0.071], [1.245, 1.519, 0.680], [0.926, 1.090, 1.977], [-1.375, 1.541, 1.395], [-0.414, 1.143, 2.317], [-1.949, 1.939, -0.929], [0.582, 2.063, -1.301], [2.267, 1.338, 0.352], [-2.417, 1.690, 1.659], [-2.811, 1.560, -0.712], [2.328, 1.350, 3.623], [2.855, 0.233, 2.379], [-0.733, 0.929, 3.328], [1.575, -0.191, 3.551]]
}

---

{
  "formula": "C9H14O",
  "method": "ωB97M-V/def2-TZVPD",
  "lumo_energy_ev": 0.84,
  "fmax_ev_per_a": 1.382,
  "spin_multiplicity": 1,
  "smiles": "Cc1ccc(O)cc1.CC",
  "de_lowest_kj_mol": 47.3,
  "total_energy_ev": -11607.14696,
  "molar_mass_g_mol": 138.210,
  "elements": ["C", "C", "C", "C", "C", "C", "C", "O", "H", "H", "H", "H", "H", "H", "H", "H", "C", "C", "H", "H", "H", "H", "H", "H"],
  "xyz": [[0.031, -2.795, 0.069], [1.209, 0.187, 2.093], [1.203, -1.011, 1.403], [0.066, 0.968, 2.142], [0.035, -1.507, 0.845], [-1.105, 0.459, 1.605], [-1.131, -0.756, 0.941], [0.075, 2.268, 2.563], [2.091, 0.541, 2.609], [2.139, -1.547, 1.344], [0.982, 2.600, 2.552], [-1.887, 1.197, 1.438], [-0.414, -3.607, 0.662], [-0.645, -2.710, -0.786], [-2.026, -1.095, 0.430], [1.033, -3.158, -0.095], [0.454, 1.380, -2.801], [-0.931, 1.148, -2.140], [0.706, 2.405, -3.058], [1.244, 1.004, -2.150], [0.518, 0.817, -3.734], [-0.764, 0.373, -1.409], [-1.612, 0.805, -2.916], [-1.271, 2.034, -1.608]]
}

---

{
  "formula": "C9H14O",
  "method": "ωB97M-V/def2-TZVPD",
  "lumo_energy_ev": 0.87,
  "fmax_ev_per_a": 1.520,
  "spin_multiplicity": 1,
  "smiles": "Cc1ccc(O)cc1.CC",
  "de_lowest_kj_mol": 52.8,
  "total_energy_ev": -11607.08932,
  "molar_mass_g_mol": 138.210,
  "elements": ["C", "C", "H", "H", "H", "H", "H", "H", "C", "C", "C", "C", "C", "C", "C", "O", "H", "H", "H", "H", "H", "H", "H", "H"],
  "xyz": [[-0.559, 0.374, -1.801], [-1.214, 0.176, -3.178], [-1.063, 1.105, -1.176], [-0.608, -0.543, -1.230], [0.492, 0.586, -1.988], [-1.731, -0.785, -3.247], [-0.481, 0.170, -3.980], [-1.896, 1.000, -3.388], [-0.314, 2.099, 1.898], [1.828, -0.740, 0.615], [1.435, 0.491, 1.140], [0.922, -1.783, 0.752], [0.159, 0.698, 1.631], [-0.297, -1.652, 1.389], [-0.660, -0.399, 1.872], [1.111, -2.984, 0.120], [2.699, -0.760, -0.030], [2.077, 1.357, 1.060], [1.996, -3.173, -0.230], [-0.991, -2.485, 1.396], [-1.345, 2.190, 2.177], [-0.242, 2.753, 1.034], [-1.565, -0.253, 2.454], [0.246, 2.556, 2.710]]
}

---
**The piece goes on**
For-profit schools don’t limit their aggressive recruiting and shady tactics to just vets, as a separate federal investigation found earlier this year.
It’s not that for-profit schools in and of themselves are bad. They provide educational opportunities and training for students who’ve often been locked out of public higher education. But their bottom line is about profit—students’ long-term job prospects, welfare and financial solvency be damned. They’re facing strict regulation because 40 percent of for-profit schools’ students eventually default on their loans, which are often tens of thousands of dollars higher than students’ debt levels from nonprofit state and community schools. Because just 22 percent of students graduate from for-profit school programs—the national average for higher education programs is 57 percent.